MSAL.NET acquire access token using windows credentials - .net-core

We have a hybrid Active Directory scenario - an on premises Active Directory server synced with an Azure AD tenant.
We are in the process of migrating our on premise Exchange email accounts to 365.
We have a SPA (JavaScript) that displays calendar events retrieved from a dotnet core web API.
The web API only allows access to users in a specific AD group.
The SPA uses the Fetch API to call the web API with credentials.
The web API currently uses EWS to connect to our on premise Exchange server to read calendar events, using its app pool identity.
The above systems have been developed in-house and run on our internal servers.
We want to update the Web API to read calendar events using the MS Graph API, on behalf of the user. We would like to use the simplest available solution.
We have tried to use the AcquireTokenByIntegratedWindowsAuth method but receive the following error: 'Integrated Windows Auth is not supported for managed users'. My limited understanding of why this doesn't work is because we do not have an ADFS on premise.
One of the Microsoft samples shows a SPA acquiring an access token and passing the token in the header as part of the web API call. This would require us to update the SPA and web API code. We're willing to do that if it's the only solution, but I am hoping someone might offer an alternative where we only need to update the web API.


Can't get domain user inside API - (AngularJs + ASP.NET Framework with Windows authentication)

I have this legacy intranet app using an AngularJS SPA consuming an an ASP.NET Web API (on .NET 4.6.1) and I can't manage to get the user authenticated on the domain inside the API, when calls are made by AngularJs.
Inside the API I have situations where I need to get the domain authenticated user. I have tried several combinations inside IIS to set both the AngularJS app and the API with Windows authentication, Impersonation, Authorization Rules. I've read several questions in Stackoverflow and other forums and also searched through several articles but I can't manage to find a solution, I'm feeling helpless in this one.
When I make a direct call to the API using a tool like Postman or through Swagger, System.Web.HttpContext.Current.Request.LogonUserIdentity.Name shows the correct authenticated user.
When I make the very same call to the API but through the client, like loading a page that requests data from the API, the user shown in LogonUserIdentity, is the one set on the app pool.
The authentication between the client and the API uses bearer token.
Here's my current scenario:
Windows authentication enabled for both the client and the API, Impersonation enabled for both the client and the API
Authorization rules for ASP.NET and IIS set with allow all users for both Client and API
Session state in-proc, using cookies and with UseHostingIdentity set to false on both Client and API
Both the client and the API are using the same AppPool, with integrated Pipeline, .NET CLR v4.0,
If there's more info to supply please let me know, I'll update the question with the required info.

Accessing Azure Subscription info using ASP.NET MVC App by authenticating user

I want to create an ASP.NET MVC application that will authenticate to an Azure tenant and get the information about the underlying tenant info such as subscription ID etc. -
This similar thing has been done by another application here -
Let me know any article or related info for this requirement.
As Nick said, you could use Tenants Rest Api to get the tenants for your account.
Use Azure ad Implicit grant flow to get your access token with your username. And send the request to Tenants with access token as http header. Then you will get all the tenants for your account and the detailed message like tenantId, tenantName.
If you just want the Azure Subscription details, you can use the following:
Subscriptions - Get REST API
Microsoft.Azure.Management.ResourceManager NuGet package. The Azure SDK for .NET consists of the Microsoft.Azure.Management.ResourceManager Namespace and the ISubscriptionClient Interface that would let you get information about your subscriptions and tenants.
However, if you're looking to access information across the Microsoft Cloud services and build unified but unique user experiences, check out the following resources about Microsoft Graph:
Building ASP.NET MVC apps with Microsoft Graph
Module: Build ASP.NET MVC web applications with the Microsoft Graph .NET SDK
For implementing the sign-in experience to Microsoft through an ASP.NET MVC solution, take a look at this document.

(1)
A plane-wave DFT calculation with GGA-PBE was carried out for an optimized crystal structure of Na14Hf3Mg5P12O48.

Computed properties:
* space group: P1
* M_tot: 0.00 μB per formula unit

a b c (Å): 18.031 9.015 22.269
angles (deg): 90.13 89.90 120.07
Sites, in units of the cell vectors:
Na1 0.185 0.360 0.246
Na2 0.685 0.361 0.247
Na3 0.994 0.630 0.248
Na4 0.494 0.629 0.246
Na5 0.320 0.629 0.746
Na6 0.820 0.631 0.747
Na7 0.185 0.013 0.747
Na8 0.685 0.011 0.746
Na9 0.156 0.344 0.578
Na10 0.656 0.344 0.578
Na11 0.015 0.687 0.578
Na12 0.515 0.687 0.578
Na13 0.328 0.968 0.578
Na14 0.828 0.968 0.578
Na15 0.156 0.971 0.078
Na16 0.653 0.963 0.081
Na17 0.328 0.686 0.078
Na18 0.019 0.345 0.081
Na19 0.516 0.345 0.077
Na20 0.481 0.665 0.919
Na21 0.988 0.679 0.914
Na22 0.351 0.036 0.918
Na23 0.167 0.294 0.919
Na24 0.662 0.301 0.914
Na25 0.482 0.298 0.418
Na26 0.982 0.298 0.418
Na27 0.167 0.036 0.419
Na28 0.667 0.036 0.419
Na29 0.351 0.666 0.419
Na30 0.852 0.666 0.418
Na31 0.000 0.000 0.494
Na32 0.500 0.000 0.494
Na33 0.988 0.992 0.993
Na34 0.499 0.999 0.994
Na35 0.340 0.334 0.832
Na36 0.841 0.325 0.827
Na37 0.333 0.320 0.332
Na38 0.833 0.321 0.332
Na39 0.173 0.679 0.162
Na40 0.678 0.678 0.160
Na41 0.161 0.656 0.662
Na42 0.661 0.657 0.662
Hf1 0.000 0.003 0.650
Hf2 0.500 0.003 0.650
Hf3 0.996 0.995 0.148
Hf4 0.499 0.000 0.149
Hf5 0.833 0.331 0.981
Hf6 0.169 0.672 0.315
Hf7 0.669 0.672 0.315
Hf8 0.164 0.663 0.815
Hf9 0.666 0.665 0.816
Mg1 0.999 0.001 0.350
Mg2 0.499 0.001 0.350
Mg3 0.997 0.003 0.851
Mg4 0.499 0.001 0.850
Mg5 0.337 0.334 0.683
Mg6 0.837 0.334 0.683
Mg7 0.333 0.326 0.183
Mg8 0.833 0.328 0.185
Mg9 0.333 0.332 0.984
Mg10 0.334 0.333 0.484
Mg11 0.834 0.333 0.484
Mg12 0.167 0.668 0.016
Mg13 0.670 0.668 0.017
Mg14 0.167 0.667 0.516
Mg15 0.667 0.667 0.516
P1 0.147 0.002 0.251
P2 0.648 0.003 0.252
P3 0.353 0.703 0.252
P4 0.853 0.703 0.253
P5 0.998 0.293 0.252
P6 0.498 0.295 0.253
P7 0.148 0.294 0.752
P8 0.649 0.296 0.752
P9 0.999 0.704 0.752
P10 0.499 0.703 0.752
P11 0.353 0.004 0.753
P12 0.853 0.004 0.752
P13 0.480 0.335 0.582
P14 0.980 0.335 0.582
P15 0.187 0.039 0.584
P16 0.687 0.039 0.584
P17 0.332 0.626 0.584
P18 0.833 0.626 0.584
P19 0.480 0.626 0.084
P20 0.981 0.628 0.085
P21 0.332 0.039 0.082
P22 0.832 0.039 0.085
P23 0.186 0.334 0.084
P24 0.687 0.338 0.086
P25 0.315 0.667 0.918
P26 0.815 0.670 0.918
P27 0.020 0.370 0.920
P28 0.519 0.370 0.920
P29 0.166 0.963 0.919
P30 0.665 0.960 0.918
P31 0.315 0.963 0.420
P32 0.815 0.963 0.420
P33 0.166 0.370 0.418
P34 0.666 0.370 0.418
P35 0.019 0.668 0.418
P36 0.519 0.668 0.418
O1 0.104 0.024 0.307
O2 0.604 0.024 0.307
O3 0.407 0.789 0.307
O4 0.906 0.785 0.309
O5 0.490 0.191 0.309
O6 0.990 0.191 0.309
O7 0.105 0.184 0.807
O8 0.606 0.186 0.808
O9 0.488 0.790 0.808
O10 0.988 0.790 0.808
O11 0.404 0.020 0.809
O12 0.908 0.021 0.805
O13 0.396 0.973 0.696
O14 0.893 0.972 0.693
O15 0.093 0.209 0.695
O16 0.593 0.209 0.695
O17 0.014 0.821 0.696
O18 0.514 0.821 0.696
O19 0.396 0.814 0.195
O20 0.898 0.818 0.197
**End of the records of crystals**

What is the difference between identity server 4 open id connect and Azure AD?

What I know about IdentityServer and OpenID connect is:
The IdentityServer is a free, open source OpenID Connect and OAuth 2.0 framework for ASP.NET Core. That incorporates all the protocol implementations and extensibility points needed to integrate token-based authentication, single-sign-on and API access control in your applications.
Further more OpenID Connect is a simple identity layer built on top of the OAuth 2.0 protocol. OAuth 2.0 defines mechanisms to obtain and use access tokens to access protected resources, but they do not define standard methods to provide identity information. OpenID Connect implements authentication as an extension to the OAuth 2.0 authorization process. It provides information about the end user in the form of an id_token that verifies the identity of the user and provides basic profile information about the user.
What I want to know is what is Azure Active Directory and How it is works? Did we use Azure AD with openid connect? or it is optional with openid connect? and If I've an webapi which is based on ASP.Net core 2.0 with identityserver 4. Did we deploy on azure without implement Azure AD? I m confused because I've an webapi project and a client project based on angular. when I deploy my client project as a new web app on azure its running fine. But when I deploy my web api on azure its not working. Means after deploying my web api when I do post request to get a token or when I want to register a user through my azure web api link it shows me 500 error in postman.
After facing this problem I post it on Here Stackoverflow but didn't find any helpful answers. So I again start searching and found that if we want to use openid connect with azure we must implement Azure AD. Here is the Reference. So in this question I want to know the difference between openid connect and Azure AD? and second question is. Is this possible to use openid connect without using Azure AD? Please explain your answer briefly. Thanks

WSO2 IS ASP.Net - user authentication and SAML response decoding/validation

We are using WSO2 IS 5.2.0 for user authentication and SSO across our applications. We have multiple web applications built on java technology.
All the apps are registered in WSO2 service provider and we are able to successfully authenticate user and able to do SSO.
User is prompted for login when he tries to access one of the apps for the first time. Once user logs in, he is able to access any application.
We are using HTTP redirect to achieve this. On the applications side we are using WSO2 java API (org.wso2.carbon.identity.sso.* package) to get the authenticated user details and claims information.
Now we have one more application in .Net (ASP) which we want to integrate into our application suite which should also use the existing SSO infrastructure.
Can someone please let us know how to integrate WSO2 and .Net application for user authentication and SSO. If it is HTTP redirect, then how do we decrypt user information from the SAML Response in .Net application?
Is there any webservice interface available which we can directly call from .Net application which can provide function to get user information by passing samltokenId?
There is a sample written using .NET in here [1] but it seems it is still undergoing development. I have asked the question in WSO2 Architecture mailing list[2] about the state of it (You can follow for more information) but still you can use it to get some understanding (Or as a full working solution maybe).
[2] [Architecture] [IS] SAML SSO Agent for .NET

Headless authentication with Azure AD (user/pass combination)

I'm following the guide and example provided by Microsoft here and I'm able to get the demo working, with the authentication happening in a console app, then making a request to a Web API with the correct token.
I'm looking to use this but the code in the console app would need to move to a Web App. Essentially: external server tries to access secure Web API, providing Azure AD username/password in the Authentication header of a HTTPS request. I pick up these credentials in the first insecure Web API, and attempt to authenticate the credentials against AD, obtaining the token. From here, I would then call the [Authorize]-protected Web API by making a request with the AD token.
At this point I'm using the same code from the example linked above, simply moving the code in the Console app up into the first insecure Web API controller, but I'm having no luck. I read on CloudIdentity that "You can only use those flows from a native client. A confidential client, such as a web site, cannot use direct user credentials.". Is this true? If so, is there another way to achieve my aim? I need to use the credentials as it may be likely that more services would use the API in the future, so each of these would need their own credentials to use that could be managed within Azure.
EDIT: In reading more around this, should I actually be aiming to use Client authentication, creating an "Application" within the Azure AD, and providing the client ID to each external service looking to call the API, to then authenticate with that, rather than credentials?
Yes, your edit is correct. The Resource Owner Password Credentials grant is meant to authenticate users, not applications. Typical use would be from an application that prompts you for username and password and then retrieves a token from Azure AD.
You can use the Client Credentials grant to get a token from Azure AD from a confidential client to call an API without user context. This flow requires that you register the application in Azure AD and generate a key (which will be used as the client secret). You can then use the ADAL library to ge a token from AAD as shown here.
